Given =
- - -
No. 1
The following is a DFT calculation (the ωB97M-V functional and the def2-TZVPD basis) of a cluster of 2 separate species, C2H4N2O2 in total in a non-equilibrium geometry.

Geometry as XYZ:
```
10
Properties=species:S:1:pos:R:3:lowdin_charge:R:1
N 2.6040 1.0529 -0.5294 0.2497
N 3.4230 0.4450 -0.0981 -0.2810
O 4.3210 -0.1703 0.3564 0.0995
C -0.0176 0.2026 0.4449 -0.0957
C 0.4591 -1.0444 -0.3047 -0.3641
O 1.4062 -1.7008 -0.0411 0.0282
H 0.4018 0.3002 1.4642 0.0855
H -1.1558 0.1649 0.4518 0.0932
H 0.2311 1.1042 -0.0640 0.0286
H -0.3539 -1.4906 -1.1649 0.1560
```

structure (SMILES) = N#[N+][O-].CC=O
2S+1 = 1
total charge = 0
DFT total energy = -9211.3170 eV

=====

No. 2
The following is a DFT calculation (the ωB97M-V functional and the def2-TZVPD basis) of the molecule C2H4N2O2 in a non-equilibrium geometry.

Geometry as XYZ:
```
10
Properties=species:S:1:pos:R:3:lowdin_charge:R:1
O 0.9827 1.9490 -2.8746 0.1124
N 0.7963 1.4562 -1.8174 -0.3072
N 1.0513 1.6400 -0.6310 0.1140
C 0.2834 0.7419 0.2470 -0.1047
C -0.2021 -0.4343 -0.7392 -0.1832
O 0.0019 0.1494 -1.9853 -0.0671
H -0.5750 1.2371 0.8360 0.1399
H 0.9369 0.3326 0.9478 0.0727
H 0.3660 -1.3266 -0.9232 0.1008
H -1.2126 -0.8676 -0.5234 0.1225
```

structure (SMILES) = [O-][N+]1=NCCO1
2S+1 = 1
total charge = 0
DFT total energy = -9209.3208 eV

=====

No. 3
The following is a DFT calculation (the ωB97M-V functional and the def2-TZVPD basis) of the molecule C2H4N2O2 in a non-equilibrium geometry.

Geometry as XYZ:
```
10
Properties=species:S:1:pos:R:3:lowdin_charge:R:1
H 1.9711 -0.5937 -1.9969 0.0428
N 1.0549 -0.6359 -1.6150 0.1325
C 0.9828 -0.0503 -0.5085 -0.1975
N -0.1770 -0.1586 0.4023 -0.1105
O 0.0043 0.6195 1.5660 -0.0722
C -1.4841 0.0841 0.0046 -0.2955
O -1.8683 -0.1737 -1.1093 0.0591
H 1.7388 0.5907 0.0936 0.1506
H -0.0224 -0.0076 2.3696 0.1533
H -2.2001 0.3255 0.7935 0.1373
```

structure (SMILES) = [H]/N=C/N(O)C=O
2S+1 = 1
total charge = 0
DFT total energy = -9211.3638 eV

=====

No. 4
The following is a DFT calculation (the ωB97M-V functional and the def2-TZVPD basis) of a cluster of 2 separate species, C2H4N2O2 in total in a non-equilibrium geometry.

Geometry as XYZ:
```
10
Properties=species:S:1:pos:R:3:lowdin_charge:R:1
O 3.8421 0.5855 0.4134 0.0541
N 2.9640 -0.0392 -0.1008 -0.3408
O 2.6342 -1.1806 0.0653 0.0400
H 2.4030 0.4982 -0.8333 0.1615
C -2.3998 -0.1376 0.1457 -0.0765
C -1.0707 0.4235 -0.0012 -0.2568
N -0.0116 0.7447 -0.3036 0.1493
H -2.3379 -0.7468 1.0976 0.1086
H -2.7519 -0.6019 -0.7959 0.0975
H -3.2714 0.4543 0.3130 0.0631
```

structure (SMILES) = O=[NH+][O-].CC#N
2S+1 = 1
total charge = 0
DFT total energy = -9210.3780 eV

=====

- Among the records above, which one has the highest DFT total energy?
  number 2

* * * * *

ORCA calculation (the ωB97M-V functional and the def2-TZVPD basis) on a structure of composition C48H39F10N6O5SW.

Geometry (Å):
W -0.3872 0.4479 0.4420
C -5.0545 0.6043 2.4786
N -3.9056 1.0851 1.7334
C -3.6517 0.2972 0.5274
C -2.3645 -0.4962 0.5872
N 0.0711 -1.2867 0.5529
C 1.0312 -2.1717 0.0649
C 0.8235 -3.4434 -0.8585
F -0.3372 -3.3109 -1.5832
C 0.8861 -4.8033 -0.2642
F 0.3242 -5.7914 -0.9628
C 1.5611 -4.9946 0.8664
F 1.7397 -6.1753 1.4286
C 2.1642 -3.8461 1.5426
F 2.9199 -4.1344 2.5934
C 1.9664 -2.5853 1.1582
F 2.5072 -1.6014 1.8958
C -3.9470 2.5111 1.4815
C -1.7920 3.2200 2.6354
N -0.4884 0.9193 2.6458
C 0.1007 0.2167 3.7499
C 0.4235 -1.0533 3.9504
F 0.0261 -2.0756 3.2107
C 1.3146 -1.4025 5.0617
F 1.5974 -2.6916 5.1992
C 1.8460 -0.4633 5.8526
F 2.6537 -0.7723 6.8557
C 1.5046 0.9694 5.7089
F 1.4411 1.5940 6.9157
C 0.4580 1.2924 4.6952
F -0.3591 3.5173 4.8438
H -6.0008 0.7105 1.9288
H -5.1447 1.1520 3.4171
H -4.9212 -0.4505 2.7170
H -3.6432 0.9609 -0.3484
H -4.4975 -0.3872 0.3696
H -2.3005 -1.1839 -0.2604
H -2.3300 -1.1156 1.4899
H -4.4039 3.0106 2.3374
H -4.5618 2.7632 0.6016
H -2.0783 4.3593 4.1908
H -0.8638 3.7692 2.4283
O 3.2141 -5.4824 -2.3607
C 4.0255 -4.5389 -1.8335
O 5.1942 -4.7670 -1.6787
C 3.4221 -3.2273 -1.4849
- - -

Work order =
Please search the calculation results above for the word "calculation" and repeat each line that has it.

Solution =
The following is a DFT calculation (the ωB97M-V functional and the def2-TZVPD basis) of a cluster of 2 separate species, C2H4N2O2 in total in a non-equilibrium geometry.
The following is a DFT calculation (the ωB97M-V functional and the def2-TZVPD basis) of the molecule C2H4N2O2 in a non-equilibrium geometry.
The following is a DFT calculation (the ωB97M-V functional and the def2-TZVPD basis) of the molecule C2H4N2O2 in a non-equilibrium geometry.
The following is a DFT calculation (the ωB97M-V functional and the def2-TZVPD basis) of a cluster of 2 separate species, C2H4N2O2 in total in a non-equilibrium geometry.
ORCA calculation (the ωB97M-V functional and the def2-TZVPD basis) on a structure of composition C48H39F10N6O5SW.